For our Leader Spotlight this month we talked to Danny Casady, a volunteer leader with the Tacoma Branch who believes leadership is all about building: building character; building up others to their full potential; and building memories one peak, one switchback, and one sunset at a time.
Name: Danny Casady
Branch: Tacoma
Where do you live? Auburn, WA
How long have you been a leader? 3 years (member since 2015)
What activities do you lead? Hiking, snowshoeing, scrambling, and stewardship activities.
Leadership Questions
What inspired you to take on a leadership role with The Mountaineers?
How has your leadership style evolved as you've gained experience?
I am a huge fan of "plan for the worst and hope for the best" and tied closely to that, the post-trip assessment. I have been known to obsess over a trip during the planning stages - the more uncertainty, the more I obsess. Call it a fault. Recently, I was on a private trip with a friend. We were bagging peaks at Mount Rainier and decided to spend the night at Chinook Pass. Since we were there, we decided we would try to bag Yakima Peak - after all, it's right there! We both knew, especially after having to work an hour later than expected, that we were in an extremely tight daylight window.
Well, I am sure you know where this is going. We drove to the pass, grabbed our gear, and headed up and over the north ridge by way of the standard route from the parking lot. The idea was to cross the gully and take the west ridge to the summit. But that sun was getting pretty low on the horizon, so we made some adjustments. We decided to head straight up the gully, hanging climbers right where the rock was not as loose. We made it to the summit just as the sun was going down behind Sourdough Ridge. After taking a couple of photos, we quickly came down from the summit block and made our way to the trail on the west ridge as we had already decided descending the gully in low light would be a bad idea.
Then it got dark; really dark. Then the trail disappeared, and the ridge became steep. We had already donned our headlamps and agreed that it made sense to stay in close proximity on the way down. One, so we didn't become separated and two, so we didn't kick rocks down on each other. Somehow, the trail was not nearly as clear as the trip research indicated, at least not under those conditions. We thought we might be off route, but when it drops off on either side, you're pretty much the only place you can be.
When we reached a point on the ridge from where I could see the headlights of cars coming from both sides of the pass, I knew we were in for an adventure. We moved along, 15 to 20 feet at a time assessing the route and watching for gullies and cliffs. After all, there are forty vertical feet between those lines on the map. We had a rope but were hoping to not have to use it.
So onward we went, a little at a time, headlamps shining off into a light fog that had formed. We would go forward for a bit, check our map and GPS, then move a little more. Pretty soon, we reached the end of the ridge and we were able to traverse over to the north ridge and back to the parking lot.
Afterwards, we sat at the back of my Subaru, made tacos for dinner, and did our post-trip debrief talking about what worked, what didn't work, and what we could do better next time. I think we both agreed that we may have been a little over ambitious given the daylight. Surprisingly, the mountain was still there in the morning. We both agreed that taking our time and carefully assessing (repeatedly) our current situation on the ridge made a lot sense and worked in our favor this time. I had studied the route and knew it, quite literally, in the dark.
But what I saw in reality didn't match my expectations. It is in those moments that you question yourself and adjust as necessary to meet the situation. Listen to your gut instincts; they are usually correct. We were prepared to sleep on the ridge had we needed to, but fortunately that wasn't the case.
What advice do you have for aspiring leaders in The Mountaineers community?
First, just do it already. It is rewarding beyond belief.
Second, set expectations - always! This goes for trips, classes, and field trips. Remember what I said about reality not matching expectations and then questioning your own decisions? That is what we do as humans. Our minds will fill the gaps if no one has set expectations. Sometimes we get it right, sometimes we don't. Try not to put your trip participants through the exercise of guessing what's next.
Last, keep it safe and have fun. Getting to the destination should never take priority over managing risks. I wanted to say safety here, but we do things every day that could be considered unsafe by someone. Knowing the risks and your ability to manage those risks will help you gauge which trips may be suitable for your participant's enjoyment.
Lightning Round
What's your go-to place for a post-trip meal? Bruno's or Wapiti Woolies if in the Mount Rainier area.
How about your best trail snack? Bacon! (Cooked, of course.)
What's your favorite close-to-home adventure? Naches Peak Loop: A short, easy hike, but the views are amazing.
What "luxury item" do you bring on most trips? An inflatable pillow for overnight trips. My camera for day trips.
What's next on your bucket list? It's a deep bucket, but at the moment, Josephine Lake is next on the list.
**Between two parts of the article: quantum chemistry results**
'''
C36H29N10OSTa | ωB97M-V/def2-TZVPD

The geometry in XYZ format:
```
78
C36H29N10OSTa ωB97M-V/def2-TZVPD
C 4.41 0.92 -2.16
C 1.36 -1.28 5.54
C 1.30 -0.37 6.61
H -2.83 -4.32 0.60
C -0.85 3.36 -1.46
N -1.94 2.74 -1.24
H -2.52 0.32 -5.84
H -1.67 5.02 -0.73
C 1.09 -0.89 4.24
C 0.79 0.46 4.01
C -2.82 -3.28 0.40
H -1.36 1.41 -3.88
H -0.11 -3.13 -5.19
H -3.48 -0.95 1.48
C 1.79 -0.92 7.86
C -3.07 -0.66 -1.25
C -0.02 -1.59 -3.70
N -1.74 -1.14 -0.99
H 2.40 3.02 -0.80
C -3.07 0.78 -1.46
C 0.62 0.74 2.55
N 1.32 1.68 0.45
C 3.05 0.96 -2.35
H 5.10 1.60 -2.69
C -1.16 0.37 -4.15
C -1.60 -0.37 2.55
C 0.67 1.37 5.05
C -0.46 0.02 1.95
C 4.15 -0.93 -0.63
C 4.95 0.04 -1.24
H -5.12 0.91 -1.97
S 0.51 2.60 -2.31
H 5.99 0.08 -0.94
C -1.43 -1.26 0.41
C -1.77 -0.19 -5.24
H 1.63 -2.31 5.67
H 1.52 -1.81 0.50
N 0.69 -1.77 -1.46
N 2.26 -1.48 8.73
N -1.88 1.34 -1.31
H 2.89 2.15 3.36
H 0.46 2.44 4.88
C 3.03 2.94 1.32
C -0.47 -2.17 -4.88
Ta 0.07 0.27 -1.23
C 0.94 0.96 6.36
H -4.19 2.33 -2.43
C 1.82 -1.97 -0.55
C -4.30 1.58 -1.67
C 0.84 -2.32 -2.69
C -2.40 -1.08 1.58
H 3.86 3.65 1.36
C 2.26 2.57 0.19
H -1.20 -3.01 1.89
H 2.24 -2.96 -0.72
H 4.59 -1.63 0.07
C 1.44 1.46 1.82
C -3.81 -2.84 -0.47
C -1.84 -2.47 1.17
O 1.51 -3.24 -2.98
H 1.17 -1.59 3.40
H -5.07 -1.28 -1.39
C -4.06 -1.55 -1.10
H 0.84 1.66 7.21
H -1.93 -1.98 -6.43
N -0.36 -0.33 -3.32
H -4.60 2.09 -0.73
N -0.80 4.66 -1.12
N -0.33 -0.40 0.62
C 2.52 2.22 2.35
C 2.79 -0.90 -0.94
H -4.45 -3.64 -0.86
N 2.24 0.09 -1.68
H -1.62 -2.05 -1.47
H 2.61 1.69 -3.00
H -1.82 -0.22 3.59
H -0.16 5.28 -1.52
C -1.44 -1.50 -5.59
```

Output
HOMO-LUMO gap = 6.82 eV
energy above the lowest of the compared OMol25 structures with the same formula, charge and spin = 48.5 kcal per mole
highest occupied orbital energy = -0.4994 Ha
charge = +2


Entry 1:
23
Properties=species:S:1:pos:R:3:lowdin_charge:R:1 method="wB97M-V/def2-TZVPD" charge=0 e_homo_ev=-6.99 homo_lumo_gap_ha=0.291 total_energy_ha=-363.610760
C 0.523 0.111 -0.643 -0.3418
C 1.590 -0.137 0.466 -0.2357
C 1.200 0.402 1.826 -0.1580
C -0.784 -1.875 -0.049 -0.0441
C 0.456 1.591 -1.005 -0.0595
N -0.826 -0.417 -0.231 -0.3765
N -1.715 -0.167 -1.524 0.1015
N -1.426 0.138 0.996 -0.0580
H 0.803 -0.463 -1.531 0.1340
H -2.354 0.576 -1.240 0.0753
H -2.294 -0.981 -1.720 0.0638
H -1.455 1.151 0.866 0.0022
H -0.075 0.271 1.932 0.0964
H 2.512 0.327 0.100 0.1052
H 1.773 -1.210 0.542 0.0903
H 1.274 1.488 1.861 0.0481
H 1.810 -0.018 2.621 0.0494
H -1.800 -2.210 0.143 0.0903
H -0.392 -2.356 -0.946 0.1003
H -0.175 -2.111 0.823 0.0949
H -0.112 1.745 -1.921 0.0671
H -0.001 2.174 -0.207 0.0698
H 1.467 1.971 -1.158 0.0848

Entry 2:
23
Properties=species:S:1:pos:R:3:lowdin_charge:R:1 method="wB97M-V/def2-TZVPD" charge=+2 e_homo_ev=-17.99 homo_lumo_gap_ha=0.440 total_energy_ha=-363.189428 smiles="[NH2+]=CNCCCC[NH3+]"
N -0.139 0.479 -4.469 0.2196
C -0.126 0.045 -3.240 -0.1123
N 0.704 0.445 -2.302 0.0855
C 0.679 -0.219 -0.996 -0.1884
C 0.068 0.556 0.137 -0.1654
C 0.538 0.064 1.583 -0.1326
C -0.657 -0.605 2.290 -0.1180
'''
**End of the quantum chemistry results**
is there Someone that you'd like to see in the spotlight?
Send an email to Sara Ramsay to make a recommendation for one of our upcoming Leader Spotlights!